### What to do
Repeat only the last part of the listing further below, starting with the line that has "all 10".
### Material
____________
No. 1
Starting from DFT lattice parameters and positions (PBE), the XRD peak list of LaPm2DyTm was simulated for Cu Kα.

Main lines, sorted by position (10 to 80 degrees two-theta):
21.33°, intensity 37; 27.25°, intensity 32; 30.35°, intensity 38; 31.49°, intensity 27; 31.84°, intensity 31; 32.70°, intensity 72; 33.37°, intensity 100; 34.98°, intensity 30; 35.35°, intensity 29; 51.55°, intensity 27

Lattice parameters (Å, degrees): 8.413 6.273 6.773 90.00 98.02 90.00
Fractional coordinates of all 10 atoms:
La: 0.000 0.000 0.000
La: 0.000 0.000 0.500
Pm: 0.330 0.381 0.114
Pm: 0.330 0.619 0.614
Pm: 0.670 0.381 0.386
Pm: 0.670 0.619 0.886
Dy: 0.000 0.470 0.750
Dy: 0.000 0.530 0.250
Tm: 0.500 0.116 0.750
Tm: 0.500 0.884 0.250

---

No. 2
Starting from DFT lattice parameters and positions (PBE), the XRD peak list of La2PmDy2Y6 was simulated for Cu Kα.

Main lines, sorted by position (10 to 80 degrees two-theta):
30.57°, intensity 34; 30.76°, intensity 42; 31.11°, intensity 45; 31.91°, intensity 100; 34.09°, intensity 17; 44.18°, intensity 24; 52.90°, intensity 14; 55.87°, intensity 26; 61.67°, intensity 19; 62.66°, intensity 17

Lattice parameters (Å, degrees): 6.733 6.733 10.519 90.00 90.00 129.45
Fractional coordinates of all 11 atoms:
La: 0.212 0.788 0.000
La: 0.788 0.212 0.000
Pm: 0.500 0.500 0.000
Dy: 0.130 0.870 0.500
Dy: 0.870 0.130 0.500
Y: 0.000 0.000 0.208
Y: 0.000 0.000 0.792
Y: 0.350 0.650 0.306
Y: 0.350 0.650 0.694
Y: 0.650 0.350 0.306
Y: 0.650 0.350 0.694

---

No. 3
Starting from DFT lattice parameters and positions (PBE), the XRD peak list of LaPmDyY2 was simulated for Cu Kα.

Main lines, sorted by position (10 to 80 degrees two-theta):
20.37°, intensity 27; 25.85°, intensity 18; 31.04°, intensity 100; 31.81°, intensity 34; 32.07°, intensity 14; 34.74°, intensity 16; 35.92°, intensity 18; 38.07°, intensity 11; 56.20°, intensity 19; 61.21°, intensity 19

Lattice parameters (Å, degrees): 3.633 5.626 8.720 90.00 90.00 90.00
Fractional coordinates of all 5 atoms:
La: 0.000 0.000 0.000
Pm: 0.500 0.000 0.500
Dy: 0.500 0.500 0.000
Y: 0.000 0.500 0.318
Y: 0.000 0.500 0.682
____________
### Completed
Fractional coordinates of all 10 atoms:
La: 0.000 0.000 0.000
La: 0.000 0.000 0.500
Pm: 0.330 0.381 0.114
Pm: 0.330 0.619 0.614
Pm: 0.670 0.381 0.386
Pm: 0.670 0.619 0.886
Dy: 0.000 0.470 0.750
Dy: 0.000 0.530 0.250
Tm: 0.500 0.116 0.750
Tm: 0.500 0.884 0.250

---

No. 2
Starting from DFT lattice parameters and positions (PBE), the XRD peak list of La2PmDy2Y6 was simulated for Cu Kα.

Main lines, sorted by position (10 to 80 degrees two-theta):
30.57°, intensity 34; 30.76°, intensity 42; 31.11°, intensity 45; 31.91°, intensity 100; 34.09°, intensity 17; 44.18°, intensity 24; 52.90°, intensity 14; 55.87°, intensity 26; 61.67°, intensity 19; 62.66°, intensity 17

Lattice parameters (Å, degrees): 6.733 6.733 10.519 90.00 90.00 129.45
Fractional coordinates of all 11 atoms:
La: 0.212 0.788 0.000
La: 0.788 0.212 0.000
Pm: 0.500 0.500 0.000
Dy: 0.130 0.870 0.500
Dy: 0.870 0.130 0.500
Y: 0.000 0.000 0.208
Y: 0.000 0.000 0.792
Y: 0.350 0.650 0.306
Y: 0.350 0.650 0.694
Y: 0.650 0.350 0.306
Y: 0.650 0.350 0.694

---

No. 3
Starting from DFT lattice parameters and positions (PBE), the XRD peak list of LaPmDyY2 was simulated for Cu Kα.

Main lines, sorted by position (10 to 80 degrees two-theta):
20.37°, intensity 27; 25.85°, intensity 18; 31.04°, intensity 100; 31.81°, intensity 34; 32.07°, intensity 14; 34.74°, intensity 16; 35.92°, intensity 18; 38.07°, intensity 11; 56.20°, intensity 19; 61.21°, intensity 19

Lattice parameters (Å, degrees): 3.633 5.626 8.720 90.00 90.00 90.00
Fractional coordinates of all 5 atoms:
La: 0.000 0.000 0.000
Pm: 0.500 0.000 0.500
Dy: 0.500 0.500 0.000
Y: 0.000 0.500 0.318
Y: 0.000 0.500 0.682